Smart ways to write for the small screen
Scrolling on a smartphone and scanning computers has changed the way we read and absorb information.
San Jose State University’s Ziming Liu told us this way back in 2005.
In 2019, cheeky SMS slang like TL;DR – which means ‘too long, didn’t read’ – is an elementary part of digital copywriting, moving away from being a dig at long, blathery copy and actually describing the summary bullet points of online content.
(What comes next are materials data, not part of the article)
{
  "formula": "Pr2TeO5",
  "functional": "GGA-PBE",
  "state": "optimized geometry",
  "e_form_raw_ev_per_atom": -2.477,
  "lattice_angstrom": [[6.707, 0.000, -1.471], [0.000, 7.356, 0.000], [0.356, 0.000, 10.215]],
  "species": ["Pr", "Pr", "Pr", "Pr", "Pr", "Pr", "Pr", "Pr", "Te", "Te", "Te", "Te", "O", "O", "O", "O", "O", "O", "O", "O", "O", "O", "O", "O", "O", "O", "O", "O", "O", "O", "O", "O"],
  "fractional_positions": [[0.747, 0.878, 0.039], [0.247, 0.622, 0.039], [0.571, 0.868, 0.370], [0.071, 0.632, 0.370], [0.929, 0.368, 0.630], [0.429, 0.132, 0.630], [0.753, 0.378, 0.961], [0.253, 0.122, 0.961], [0.592, 0.395, 0.286], [0.092, 0.105, 0.286], [0.908, 0.895, 0.714], [0.408, 0.605, 0.714], [0.942, 0.149, 0.085], [0.948, 0.606, 0.130], [0.442, 0.351, 0.085], [0.448, 0.894, 0.130], [0.879, 0.922, 0.285], [0.982, 0.283, 0.385], [0.379, 0.578, 0.285], [0.746, 0.570, 0.424], [0.482, 0.217, 0.385], [0.246, 0.930, 0.424], [0.754, 0.070, 0.576], [0.518, 0.783, 0.615], [0.254, 0.430, 0.576], [0.621, 0.422, 0.715], [0.018, 0.717, 0.615], [0.121, 0.078, 0.715], [0.552, 0.106, 0.870], [0.558, 0.649, 0.915], [0.052, 0.394, 0.870], [0.058, 0.851, 0.915]]
}



{
  "formula": "Pr5Ho12In2",
  "functional": "GGA-PBE",
  "state": "optimized geometry",
  "delta_e_f_ev_per_atom": -0.014,
  "lattice_angstrom": [[9.325, 0.000, 0.000], [-4.662, 11.072, -1.654], [0.000, -5.169, 6.646]],
  "species": ["Pr", "Pr", "Pr", "Pr", "Pr", "Ho", "Ho", "Ho", "Ho", "Ho", "Ho", "Ho", "Ho", "Ho", "Ho", "Ho", "Ho", "In", "In"],
  "fractional_positions": [[0.304, 0.607, 0.620], [0.234, 0.467, 0.891], [0.000, 0.000, 0.500], [0.766, 0.533, 0.109], [0.696, 0.393, 0.380], [0.076, 0.153, 0.273], [0.040, 0.714, 0.949], [0.674, 0.714, 0.949], [0.181, 0.747, 0.418], [0.566, 0.747, 0.418], [0.553, 0.107, 0.780], [0.447, 0.893, 0.220], [0.819, 0.253, 0.582], [0.434, 0.253, 0.582], [0.960, 0.286, 0.051], [0.326, 0.286, 0.051], [0.924, 0.847, 0.727], [0.678, 0.000, 0.000], [0.322, 0.000, 0.000]]
}



{
  "formula": "KMgCr2",
  "functional": "GGA-PBE",
  "state": "optimized geometry",
  "delta_e_f_ev_per_atom": 1.433,
  "lattice_angstrom": [[6.215, 0.011, -0.008], [3.572, 5.086, 0.008], [-4.131, -4.014, 2.335]],
  "species": ["Cr", "Cr", "K", "Mg"],
  "fractional_positions": [[0.024, 0.024, 0.000], [0.476, 0.476, 0.000], [0.750, 0.250, 0.500], [0.250, 0.750, 0.500]]
}



{
  "formula": "Ba2PdPt2",
  "functional": "GGA-PBE",
  "state": "optimized geometry",
  "delta_e_f_ev_per_atom": -0.438,
  "lattice_angstrom": [[6.160, 0.000, 0.000], [0.000, 6.160, 0.000], [3.080, 3.080, 3.948]],
  "species": ["Pd", "Ba", "Ba", "Pt", "Pt"],
  "fractional_positions": [[0.000, 0.000, 0.000], [0.750, 0.250, 0.500], [0.250, 0.750, 0.500], [0.335, 0.335, 0.329], [0.665, 0.665, 0.671]]
}



{
  "formula": "Ho2ZrZn2Rh5",
  "functional": "GGA-PBE",
  "state": "optimized geometry",
  "delta_e_f_ev_per_atom": -0.717,
  "lattice_angstrom": [[3.600, 0.000, 0.000], [0.000, 9.816, 0.000], [0.000, 0.000, 9.816]],
Humans don’t read screens the same way we look at printed matter – we scan web-based pages in an F or Z-shaped pattern to look for words or highlights that give context and meaning before our eyes settle and comprehend the text.
Great content design harnesses how people read and discern information in different contexts
Or sometimes we don’t bother with the comprehension part and scroll to the next thing, or answer that call or send that damn SMS. Damn those short attention spans.
The changing nature of screen reading has important connotations for how we communicate and engage people with our message, whether it’s for business or pleasure.
7 steps to creating great content design on the small screen
If an audience will give you less than a few seconds of attention, it’s a content strategist’s job to produce a great message that’s concise, engaging and distinctive.
Great digital copywriting helps the reader get their task done and let them move on to whatever they want to spend their time on next. This is no easy skill but it’s what separates someone who can open a Word document from a genuine copywriter.
DIGITAL CONTENT DESIGN TIP #1: Brevity is more than the soul of wit
Short, short, short. Sometimes you only have three words when you wish you had six. The mobile screen is unforgiving on this point.
Don’t think that you can make the font size smaller to fit more on a screen – most UI and UX designers would say 16pt font is a good guide, as you want the mobile screen to be as readable as a printed page.
In other words, Facebook want to get out of the business of sparking human rights abuses, twisting political results or exploiting people’s data.
DIGITAL CONTENT DESIGN TIP #2: Concise has helpers - use them
In the world of print, one headline and a story was enough to give a reader context. On a small screen, ‘helper text’ like sub-lines and buttons and CTAs (that’s a call to action for the uninitiated) are super important. These copy helpers are the canvas upon which a writer can paint meaning and relevance, all be it with just one to three words.
DIGITAL CONTENT DESIGN TIP#3: It’s non-linear - exploit that
Digital copy has advantages over printed copy - it can be interactive, contain text, audio, video and interactive graphics.
Digital words are more often the source of immediate information to answer a search query, research where you want to go for dinner or entice you to read something.
Don’t waste words, and don’t waste the opportunity to add great imagery or links that make your content even more relevant and helpful to a reader.
DIGITAL CONTENT DESIGN TIP#4: What’s the context? Front load what’s important
Copy doesn’t exist in a vacuum - how will your reader discover this content and what do they need to do next? Are you trying to inspire them to read something or get them to make a booking?
Put the most important thing first. The most important thing is very often the thing right at the bottom of the page - find the conclusion or point of the content and put it right upfront.
Saatchi and Saatchi’s Kevin Roberts once said, “Emotion, intuition, long-term memories and unconscious motivations make up as much as 80% of our decision-making processes.” So use your writerly judgment along with data to inform what should be upfront.
DIGITAL CONTENT DESIGN TIP#5: Use tone and voice consistently
Buzzfeed wouldn’t be Buzzfeed without its colloquial, clickable headlines like 25 kitten gifs that Aquarians need to smile at. But you wouldn’t trust Web MD if they started talking about breast cancer gifs or sprained ankle memes..
Tone and voice are hard things to pin down, but good copywriters know the difference. Tone is about finding the right ‘sound’ or ‘character’ for your copy, which should reflect whatever brand you are writing for. Some of the big web giants are hiring poets and philosophers to explore the write character and tone for their digital presence.
Digital’s great benefit is that it’s quick and timely to publish and make changes.
When I was a print editor, we would proof the same page four times before it went off to the printer – and still you would find an error somewhere. It was hell.
As a digital editor, you can fix a typo in less than 10 seconds.
You can also scroll your analytics and data to check whether the copy is performing as well as something comparable and change a headline, tweak a word or change the colour of a button.
Obviously you don’t do this for everything you’ve written, but important pages, landing pages or posts should be optimised as best suits the business requirement. You can also A/B test copy before you even publish, which also helps you learn the best action words to pull out of your bag of tricks.
DIGITAL CONTENT DESIGN TIP#7: Words should come before design
Well of course I would say that, I am a writer. But I’ve worked in this industry long enough to know that when apps or websites start with a page design and use placeholder Lorem Ipsum dummy text, they are murdering engagement success. Determining the key words for a page isn’t merely about winning search results – key words (which aren’t always the same as Google’s idea of key words) also define the meaning and context of great digital copywriting. In my view, the design should be about making the meaning obvious and easy, not leaving words as the afterthought.
So are you still reading?
I already know most of you will have dropped off by now. But if you’re still scrolling and reading, thank you, I appreciate it.
Digital information risks overwhelming us in its tsunami of content, but we humans have very clever ways to adapt to change.
We skim read. We scan. We look for shortcuts to not only help understand the vast quantity of content thrown at us, but discern what we should pay attention to.
The human brain is probably not hardwired to read text – we just adapted to reading, possibly as we saw the advantages of communicating as a group and enjoying stories.
If you’ve read Sapiens by Yuval Noah Harari, you’ll know that over a timespan of just six millennia, reading and mythology became the key catalyst for intellectual development, propelling the human race to advance beyond other species.
“The acquisition of literacy is one of the most important epigenetic achievements of homo sapiens,” writes Maryanne Wolf, the author of Reader Come Home.
Wolf writes that her ability to read has changed as she is increasingly dependent on screens. Most of us probably agree with her - hunting down headlines, videos and images of interest seems to be the key to dedicating time to read more on a screen than it does on the printed page (or it does to me, anyway!).
So it’s not too full of hyperbole or gush to proclaim that digital content demands new ways of writing and engaging with people.
Kleiner Perkins Mary Meeker’s 2018 internet report found consumers are spending 41 hours a week with digital media – that’s a heck of a lot of time to program your brain to respond differently as you scroll and click.
What we read, how we read and why we read changes, and it particularly changes how we think. I mean, just 10 years ago would anyone imagine they would get most of their news from social media rather than the trusted television, radio and newspaper brands? No way!
The digital content tsunami – also known as Content Shock – is driving many of the reading and engagement changes, because more businesses, media brands, influencers and even your friends and family are creating content they want you to read.
And that’s why the skill of microcopy (sometimes also called UX copy) is so important. The fine art of very precisely, but oh-so-minimally, capturing a message in words and overtly hooking a reader into why it’s relevant for them.
Personally, I think writing three words for a two-second attention span is just as exciting as writing a long form piece (like this one!).
Words can be bigger than their character count. Just do it. Think Different.